Mark Twain, a Biography. Complete eBook

Albert Bigelow Paine
This eBook from the Gutenberg Project consists of approximately 1,890 pages of information about Mark Twain, a Biography. Complete.

Mark Twain, a Biography. Complete eBook

Albert Bigelow Paine
This eBook from the Gutenberg Project consists of approximately 1,890 pages of information about Mark Twain, a Biography. Complete.

Onion was steaming along at the rate of ten to twenty pages a day now, forwarding them as fast as written, while his courage was good and the fires warm.  Clemens, receiving a package by every morning mail, soon lost interest, then developed a hunted feeling, becoming finally desperate.  He wrote wildly to shut Orion off, urging him to let his manuscript accumulate, and to send it in one large consignment at the end.  This Orion did, and it is fair to say that in this instance at least he stuck to his work faithfully to the bitter, disheartening end.  And it would have been all that Mark Twain had dreamed it would be, had Orion maintained the simple narrative spirit of its early pages.  But he drifted off into theological byways; into discussions of his excommunication and infidelities, which were frank enough, but lacked human interest.

In old age Mark Twain once referred to Orion’s autobiography in print and his own disappointment in it, which he attributed to Orion’s having departed from the idea of frank and unrestricted confession to exalt himself as a hero-a statement altogether unwarranted, and due to one of those curious confusions of memory and imagination that more than once resulted in a complete reversal of the facts.  A quantity of Orion’s manuscript has been lost and destroyed, but enough fragments of it remain to show its fidelity to the original plan.  It is just one long record of fleeting hope, futile effort, and humiliation.  It is the story of a life of disappointment; of a man who has been defeated and beaten down and crushed by the world until he has nothing but confession left to surrender.—­[Howells, in his letter concerning the opening chapters, said that they would some day make good material.  Fortunately the earliest of these chapters were preserved, and, as the reader may remember, furnished much of the childhood details for this biography.]

Whatever may have been Mark Twain’s later impression of his brother’s manuscript, its story of failure and disappointment moved him to definite action at the time.

Several years before, in Hartford, Orion had urged him to make his publishing contracts on a basis of half profits, instead of on the royalty plan.  Clemens, remembering this, had insisted on such an arrangement for the publication of ‘A Tramp Abroad’, and when his first statement came in he realized that the new contract was very largely to his advantage.  He remembered Orion’s anxiety in the matter, and made it now a valid excuse for placing his brother on a firm financial footing.

Out of the suspicions which you bred in me years ago has grown this result, to wit:  that I shall within the twelve months get $40,000 out of this Tramp, instead of $20,000. $20,000, after taxes and other expenses are stripped away, is worth to the investor about $75 a month, so I shall tell Mr. Perkins [his lawyer and financial agent] to make your check that amount per month hereafter....  This ends the loan business, and hereafter you can reflect that you are living not on borrowed money, but on money which you have squarely earned, and which has no taint or savor of charity about it, and you can also reflect that the money which you have been receiving of me is charged against the heavy bill which the next publisher will have to stand who gets a book of mine.

• Attached: calculated molecules:
____________
# 1
Below is an isolated ion of composition C4H8Br2N and charge +1, with properties calculated with wB97M-V/def2-TZVPD.

Geometry (Å):
C -2.745 0.322 0.497
C -1.575 0.858 0.132
Br -0.944 2.492 0.922
C -0.772 0.328 -0.956
Br -1.493 0.875 -2.776
N 0.677 0.772 -0.857
C 1.480 0.202 0.188
H -3.343 0.708 1.213
H -3.107 -0.557 0.079
H -0.810 -0.723 -0.798
H 1.275 0.737 -1.627
H 0.510 1.724 -0.700
H 1.014 0.035 1.235
H 2.105 -0.746 -0.032
H 2.243 1.000 0.378

Its LUMO energy is -4.263 eV. Its charge is +1. The value obtained for the total energy is -145844.1603 eV. As for the SMILES: C=C(Br)[C@@H](Br)[NH2+]C. The value obtained for the orbital gap is 9.65 eV. The max |F| is 5.06 eV/Å. The relative energy (zero: lowest compared OMol25 entry of this formula, charge and spin) is 63.4 kJ/mol.

=====

# 2
Below is the molecule C4H8BrClO, with properties calculated with wB97M-V/def2-TZVPD.

Geometry (Å):
C -0.343 -0.123 1.686
C 0.299 0.247 0.306
Cl 1.063 1.777 0.528
C -0.883 0.374 -0.799
O -0.410 0.410 -2.134
C 1.337 -0.689 -0.249
Br 0.529 -2.450 -0.178
H 0.327 -0.855 2.200
H -0.367 0.884 2.189
H -1.352 -0.490 1.401
H -1.335 1.369 -0.616
H -1.601 -0.459 -0.700
H -0.955 1.128 -2.623
H 1.380 -0.464 -1.289
H 2.312 -0.658 0.278

Its LUMO energy is 0.641 eV. Its charge is 0. The value obtained for the total energy is -88889.5030 eV. As for the SMILES: C[C@](Cl)(CO)CBr. The value obtained for the orbital gap is 10.75 eV. The max |F| is 2.83 eV/Å. The relative energy (zero: lowest compared OMol25 entry of this formula, charge and spin) is 0.0 kJ/mol.

=====

# 3
Below is the molecule C4H8BrI, with properties calculated with wB97M-V/def2-TZVPD.

Geometry (Å):
C 0.334 -0.462 1.522
C 0.271 0.797 0.657
Br 2.088 1.338 0.060
C -0.581 0.691 -0.583
C -0.047 -0.728 -1.584
I -2.640 0.381 -0.039
H -0.178 -1.295 1.047
H -0.143 -0.290 2.484
H 1.361 -0.770 1.708
H -0.061 1.649 1.258
H -0.535 1.565 -1.220
H 0.898 -0.429 -2.015
H 0.043 -1.593 -0.952
H -0.808 -0.852 -2.341

Its LUMO energy is 0.359 eV. Its charge is 0. The value obtained for the total energy is -82420.3868 eV. As for the SMILES: C[C@@H](Br)[C@@H](C)I. The value obtained for the orbital gap is 9.91 eV. The max |F| is 4.05 eV/Å. The relative energy (zero: lowest compared OMol25 entry of this formula, charge and spin) is 12.6 kJ/mol.

=====

# 4
Below is an isolated ion of composition C4H8BrINO3 and charge -1, with properties calculated with wB97M-V/def2-TZVPD.

Geometry (Å):
C -0.669 0.703 2.045
N 0.490 0.873 1.042
C 0.893 -0.487 0.516
C 0.027 -1.021 -0.770
O -0.189 -2.487 -0.539
Br 1.199 -0.863 -2.382
O -1.315 -0.434 -0.907
C -1.306 0.817 -1.681
O -1.587 0.930 -2.996
H -0.233 0.808 3.143
H -1.102 -0.377 1.855
H -1.481 1.532 1.794
H 1.300 1.169 1.666
H 2.041 -0.414 0.204
H 0.857 -1.238 1.443
H 0.705 -2.935 -0.460
H -1.092 1.839 -1.103
I 1.463 1.585 -2.872
____________

Project Gutenberg
Mark Twain, a Biography. Complete from Project Gutenberg. Public domain.